• Blackbeard
    231 year ago

    Sometimes it helps to reflect on the fact that this is what passes for journalism nowadays. We are a nation of clickbait whores.

    • @[email protected]
      131 year ago

      HuffPost has gone from reprocessing comments on Twitter to now just reprocessing comments by MSNBC and late-night TV hosts.

      And, here we are, lips attached at the end of the media centipede.

  • worldwidewave
    81 year ago

    “He’s continuing to drive his car off the cliff. He leaves his lawyers in a no-win position. And then after it’s over, he’ll probably call for the execution of the judge like he called for the execution of [newly retired former Chairman of the Joint Chiefs of Staff Gen. Mark] Milley. It is a zero-sum game, and it’s a game he loses every time.”

    Either you’re a sycophant or a traitor in this toddler’s mind.

    • @Nightwingdragon
      1 year ago

      It is a zero-sum game, and it’s a game he loses every time.”

      I disagree with that part.

• Misplaced calculated crystals:
=====
The following is a computed powder X-ray diffraction pattern of CaTlBiPtN. It was derived from a structure optimized by DFT (PBE), using a wavelength of 1.5418 Å.

Structure:
a = 3.6239 Å, b = 3.1588 Å, c = 19.5609 Å
α = 90.00°, β = 90.00°, γ = 90.00°
Element x y z (fractional)
Ca: 0.0000 0.0000 0.0000
Ca: 0.0000 0.5000 0.5000
Tl: 0.5000 0.0000 0.3522
Tl: 0.5000 0.5000 0.8522
Bi: 0.0000 0.0000 0.7076
Bi: 0.0000 0.5000 0.2076
Pt: 0.5000 0.0000 0.1138
Pt: 0.5000 0.5000 0.6138
N: 0.5000 0.0000 0.5414
N: 0.5000 0.5000 0.0414

Main lines, most intense first (2θ = 10–90°):
2θ = 30.7°, I 100
2θ = 38.1°, I 73
2θ = 31.5°, I 52
2θ = 36.6°, I 38
2θ = 50.4°, I 36
2θ = 67.5°, I 22
2θ = 36.8°, I 20
2θ = 18.1°, I 19
2θ = 60.6°, I 17
2θ = 63.8°, I 16
=====
• Here the piece continues:

      • He has a nigh-insurmountable lead against the rest of the GOP field.
      • He has turned his legal woes into a successful fundraising drive, turning things like his mugshot into merchandise that he sells and profits off of.
      • Indictments that people thought would be the straw that finally broke the camel’s back have done nothing but increase his poll numbers.
      • A non-zero number of people now believe that Hunter and Joe Biden were involved in at least some kind of corrupt activity due to Trump’s repeated accusations despite scant evidence to show that crimes even took place, negatively affecting Biden’s poll numbers.
      • He continues to release a firehose of violent threats against the judges and prosecutors in his cases, while the judges continue to toothlessly threaten him with punitive action that none of them seems willing to actually take.
      • Multiple records show that numerous Senators refused to vote to convict Trump in either of his impeachment trials not because of party ideology, but because they were (legitimately) concerned for the safety of themselves and their families due to threats either made openly or behind the scenes.
      • He continues to get daily, free publicity from every major news source that still insist on giving a disproportionate amount of time to cover every thing he says and posts on his dime-store-twitter-knock-off.
      • Despite making threats on the daily for months on end that would have had anyone else shipped off to a federal Supermax, no judge or prosecutor seems all that interested in stopping him, largely out of fear of violence.
      • He has all but directly killed the careers of several people working for him, such as Liz Cheney, causing the entire GOP party to march in lockstep behind him or risk political suicide.

_Misplaced calculated crystals_
=====
# 1
Diffraction record for NdSm2Er2. The powder diffraction line list is theoretical, not measured: it uses a structure optimized by DFT (GGA-PBE) and Cu Kα, 1.54184 Å.

Crystal structure
```
data_NdSm2Er2
_chemical_formula_sum 'Nd2 Sm4 Er4'
_space_group_name_H-M_alt 'P 1'
_space_group_IT_number 1
_cell_length_a 8.224
_cell_length_b 8.224
_cell_length_c 6.030
_cell_angle_alpha 103.81
_cell_angle_beta 103.81
_cell_angle_gamma 110.40
loop_
_space_group_symop_operation_xyz
'x,y,z'
loop_
_atom_site_label
_atom_site_type_symbol
_atom_site_fract_x
_atom_site_fract_y
_atom_site_fract_z
_atom_site_occupancy
Nd1 Nd 0.070 0.930 0.750 1
Nd2 Nd 0.930 0.070 0.250 1
Sm1 Sm 0.242 0.391 0.117 1
Sm2 Sm 0.391 0.242 0.617 1
Sm3 Sm 0.609 0.758 0.383 1
Sm4 Sm 0.758 0.609 0.883 1
Er1 Er 0.201 0.799 0.250 1
Er2 Er 0.334 0.666 0.750 1
Er3 Er 0.666 0.334 0.250 1
Er4 Er 0.799 0.201 0.750 1
```

Main lines, low angle first (2θ = 15–90°):
| two_theta | I (rel.) |
| --- | --- |
| 24.70 | 27 |
| 30.22 | 35 |
| 30.54 | 72 |
| 31.12 | 100 |
| 32.19 | 28 |
| 33.56 | 45 |
| 35.07 | 45 |
| 53.02 | 29 |



# 2
Diffraction record for Mn2GaSe2. The powder diffraction line list is theoretical, not measured: it uses a structure optimized by DFT (GGA-PBE) and Cu Kα, 1.54184 Å.

Crystal structure
```
data_Mn2GaSe2
_chemical_formula_sum 'Mn4 Ga2 Se4'
_space_group_name_H-M_alt 'P 1'
_space_group_IT_number 1
_cell_length_a 8.465
_cell_length_b 3.873
_cell_length_c 6.872
_cell_angle_alpha 90.00
_cell_angle_beta 103.71
_cell_angle_gamma 90.00
loop_
_space_group_symop_operation_xyz
'x,y,z'
loop_
_atom_site_label
_atom_site_type_symbol
_atom_site_fract_x
_atom_site_fract_y
_atom_site_fract_z
_atom_site_occupancy
Mn1 Mn 0.000 0.000 0.000 1
Mn2 Mn 0.118 0.500 0.643 1
Mn3 Mn 0.500 0.500 0.000 1
Mn4 Mn 0.618 0.000 0.643 1
Ga1 Ga 0.402 0.500 0.621 1
Ga2 Ga 0.902 0.000 0.621 1
Se1 Se 0.091 0.000 0.399 1
Se2 Se 0.197 0.500 0.007 1
Se3 Se 0.591 0.500 0.399 1
Se4 Se 0.697 0.000 0.007 1
```

Main lines, low angle first (2θ = 15–90°):
| two_theta | I (rel.) |
| --- | --- |
| 21.61 | 44 |
| 25.42 | 100 |
| 26.70 | 44 |
| 39.10 | 55 |
| 39.94 | 82 |
| 46.92 | 42 |
| 52.05 | 42 |
| 53.53 | 46 |



# 3
Diffraction record for Sr3CdBi3. The powder diffraction line list is theoretical, not measured: it uses a structure optimized by DFT (GGA-PBE) and Cu Kα, 1.54184 Å.

Crystal structure
```
data_Sr3CdBi3
_chemical_formula_sum 'Sr6 Cd2 Bi6'
_space_group_name_H-M_alt 'P 1'
_space_group_IT_number 1
_cell_length_a 10.022
_cell_length_b 10.022
_cell_length_c 6.849
_cell_angle_alpha 90.00
_cell_angle_beta 90.00
_cell_angle_gamma 120.00
loop_
_space_group_symop_operation_xyz
'x,y,z'
loop_
_atom_site_label
_atom_site_type_symbol
_atom_site_fract_x
_atom_site_fract_y
_atom_site_fract_z
_atom_site_occupancy
Sr1 Sr 0.049 0.691 0.250 1
Sr2 Sr 0.309 0.357 0.250 1
Sr3 Sr 0.357 0.049 0.750 1
Sr4 Sr 0.643 0.951 0.250 1
Sr5 Sr 0.691 0.643 0.750 1
Sr6 Sr 0.951 0.309 0.750 1
Cd1 Cd 0.333 0.667 0.750 1
Cd2 Cd 0.667 0.333 0.250 1
=====

      He “wins” a lot of those battles, in that he ends up getting what he wants by hook or by crook. He may lose every time in the courtroom, but those losses often amount to a fine that would barely qualify as a rounding error on his taxes that have little to no impact on his business or political career. He has never truly suffered a “loss” that has had any significant impact on his political or financial position, and has been very successful in getting the GOP to fall in line, even if he’s had to use threats of violence to do so.

  • Binthinkin
    01 year ago

[Inserted here: calculated crystals]
Diffraction record for Pm2PrY5Sc. The XRD peak list is calculated, not measured: it uses the GGA-PBE geometry in Alexandria and Cu Kα X-rays.
Neutral-atom scattering factors, no anomalous dispersion.

Cell and atoms:
a b c (Å): 5.6287 19.9546 10.4726
angles (deg): 90.00 90.00 90.00
Space group Cmc2_1 (No. 36)
Symmetry-distinct sites (fractional):
Pm 0.0000 0.1115 0.0000
Pm 0.0000 0.1151 0.4196
Pr 0.0000 0.4124 0.1382
Y 0.0000 0.0170 0.7039
Y 0.0000 0.2736 0.0164
Y 0.0000 0.2963 0.3880
Y 0.0000 0.3706 0.7055
Y 0.0000 0.4809 0.4238
Sc 0.0000 0.1937 0.7014

Principal peaks in the range 2θ = 10–80°, in order of rising 2θ:
2θ 26.84, I = 26, (1 3 2); 2θ 28.15, I = 16, (0 6 1); 2θ 30.46, I = 41, (1 1 3); 2θ 31.80, I = 54, (2 0 0); 2θ 32.38, I = 100, (1 5 2); 2θ 34.25, I = 10, (0 0 4); 2θ 36.35, I = 11, (1 7 1); 2θ 42.98, I = 10, (2 6 1); 2θ 51.57, I = 11, (0 6 5); 2θ 57.01, I = 24, (3 5 2); 2θ 59.73, I = 12, (1 11 3); 2θ 61.85, I = 16, (2 6 5)

----------

No. 1
Tb3Y6ThSc2: theoretical XRD peak list (CuKα), based on the PBE geometry in Alexandria.
Lines closer than 0.1° are merged.

Main lines, low angle first (2θ from 10° to 90°):
two_theta, I (rel.)
30.97, 35
31.16, 100
36.08, 67
51.83, 23
52.07, 23
61.61, 14
61.83, 28
61.94, 14

Cell and atoms:
abc: 6.0842 6.0842 11.7245
angles: 94.96 94.96 119.99
Element x y z (fractional)
Tb 0.0000 0.0000 0.0000
Tb 0.3325 0.6675 0.0000
Tb 0.6675 0.3325 0.0000
Y 0.0849 0.4179 0.2548
Y 0.2490 0.2490 0.7451
Y 0.4179 0.0849 0.2548
Y 0.5821 0.9151 0.7452
Y 0.7510 0.7510 0.2549
Y 0.9151 0.5821 0.7452
Th 0.5000 0.5000 0.5000
Sc 0.1669 0.8331 0.5000
Sc 0.8331 0.1669 0.5000

***

No. 2
Tb2ScTl: theoretical XRD peak list (CuKα), based on the PBE geometry in Alexandria.
Lines closer than 0.1° are merged.

Main lines, low angle first (2θ from 10° to 90°):
two_theta, I (rel.)
24.42, 18
32.27, 100
33.11, 45
33.46, 91
33.95, 47
46.20, 21
48.16, 32
59.70, 17

Cell and atoms:
abc: 6.5341 5.2806 6.6195
angles: 90.00 99.98 90.00
Element x y z (fractional)
Tb 0.0686 0.2500 0.3486
Tb 0.2998 0.2500 0.8671
Tb 0.7002 0.7500 0.1329
Tb 0.9314 0.7500 0.6514
Sc 0.4155 0.7500 0.5720
Sc 0.5845 0.2500 0.4280
Tl 0.2176 0.7500 0.1268
Tl 0.7824 0.2500 0.8732

***

No. 3
Tb3Sc2Tl6: theoretical XRD peak list (CuKα), based on the PBE geometry in Alexandria.
Lines closer than 0.1° are merged.

Main lines, low angle first (2θ from 10° to 90°):
two_theta, I (rel.)
12.59, 29
29.71, 100
31.82, 31
33.02, 45
37.21, 70
38.27, 68
50.59, 35
68.49, 24

Cell and atoms:
abc: 14.4506 14.4506 14.4506
angles: 161.27 161.27 26.61
Element x y z (fractional)
Tb 0.0000 0.0000 0.0000
Tb 0.1970 0.1970 0.0000
Tb 0.8030 0.8030 0.0000
Sc 0.4493 0.4493 0.0000
Sc 0.5507 0.5507 0.0000
Tl 0.1122 0.6122 0.5000
Tl 0.3060 0.3060 0.0000
Tl 0.3878 0.8878 0.5000
Tl 0.6122 0.1122 0.5000
Tl 0.6940 0.6940 0.0000
Tl 0.8878 0.3878 0.5000

***

No. 4
Tb6Sc3Tl: theoretical XRD peak list (CuKα), based on the PBE geometry in Alexandria.
Lines closer than 0.1° are merged.

    The elites of America fucked up the world and now we gotta deal with it.

    Enforce old law, make new laws if you have to and eviscerate the elites.